How do you know what to say to a man?
How do you know how to make him smile?
How do you know when something is wrong?
For many of us, the answer is:
We follow our gut instinct.
We just “know.”
But if you consume bucketloads of dating and relationship advice (like me!), you might find yourself overthinking EVERYTHING.
Every interaction is like a math puzzle to solve. Your mind works overtime figuring out the right thing to say.
You’re thinking so hard that you can’t hear your gut.
But your gut led you astray before.
That’s why you’re trying to do things differently this time around by following the experts.
Not paying attention to your gut can lead you to miss VITAL information that could help you see red flags or connect with him more deeply.
Misplaced records of crystals:
........
Record 1
Below is a relaxed MnP4O12 crystal, with properties calculated at the GGA+U level.

Computed properties:
* size of the total moment: 3.00 μB per formula unit
* offset from the most stable computed form: 0.0233 eV/atom
* uncorrected energy: -7.10 eV per atom
* E_form: -2.38 eV per atom
* SG: No. 15

Cell: 8.2742 8.2742 7.6732 Å, 98.12 98.12 107.97°
Closest atoms and distances in Å follow each position.
Positions (direct):
Mn  0.1317  0.8683  0.7500  6 O 1.85-1.96
Mn  0.8683  0.1317  0.2500  6 O 1.85-1.96
P  0.0396  0.2054  0.6690  4 O 1.52-1.61
P  0.2054  0.0396  0.1690  4 O 1.52-1.61
P  0.2514  0.5758  0.8800  4 O 1.46-1.62
P  0.4242  0.7486  0.6200  4 O 1.46-1.62
P  0.5758  0.2514  0.3800  4 O 1.46-1.62
P  0.7486  0.4242  0.1200  4 O 1.46-1.62
P  0.7946  0.9604  0.8310  4 O 1.52-1.61
P  0.9604  0.7946  0.3310  4 O 1.52-1.61
O  0.0059  0.7419  0.5082  1 P 1.52
O  0.0782  0.1385  0.1644  1 P 1.52
O  0.1118  0.6560  0.8134  1 P 1.56
O  0.1309  0.8691  0.2500  2 P 1.61
O  0.1385  0.0782  0.6644  1 P 1.52
O  0.1486  0.3695  0.8142  2 P 1.56-1.62
O  0.2581  0.9941  0.9918  1 P 1.52
O  0.3302  0.6136  0.0699  1 P 1.46
O  0.3440  0.8882  0.6866  1 P 1.56
O  0.3695  0.1486  0.3142  2 P 1.56-1.62
O  0.3864  0.6698  0.4301  1 P 1.46
O  0.3900  0.6100  0.7500  2 P 1.61
O  0.6100  0.3900  0.2500  2 P 1.61
O  0.6136  0.3302  0.5699  1 P 1.46
O  0.6305  0.8514  0.6858  2 P 1.56-1.62
O  0.6560  0.1118  0.3134  1 P 1.56
O  0.6698  0.3864  0.9301  1 P 1.46
O  0.7419  0.0059  0.0082  1 P 1.52
O  0.8514  0.6305  0.1858  2 P 1.56-1.62
O  0.8615  0.9218  0.3356  1 P 1.52
O  0.8691  0.1309  0.7500  2 P 1.61
O  0.8882  0.3440  0.1866  1 P 1.56
O  0.9218  0.8615  0.8356  1 P 1.52
O  0.9941  0.2581  0.4918  1 P 1.52



Record 2
Below is a relaxed MnP3O9 crystal, with properties calculated at the GGA+U level.

Computed properties:
* size of the total moment: 4.00 μB per formula unit
* offset from the most stable computed form: 0.0456 eV/atom
* uncorrected energy: -7.24 eV per atom
* E_form: -2.47 eV per atom

Cell: 7.3001 9.6733 10.2177 Å, 93.61 93.25 101.01°
Closest atoms and distances in Å follow each position.
Positions (direct):
O  0.1823  0.2260  0.6904  1 P 1.48
O  0.6413  0.6909  0.5476  1 P 1.51
O  0.3771  0.8143  0.5690  2 P 1.57-1.65
O  0.0372  0.0612  0.8663  1 P 1.53
P  0.8088  0.3923  0.7258  4 O 1.48-1.62
O  0.9775  0.2400  0.4281  1 P 1.53
P  0.5691  0.8304  0.9770  4 O 1.51-1.61
O  0.6800  0.9492  0.9075  1 P 1.51
O  0.6228  0.6857  0.9310  2 P 1.57-1.65
P  0.8139  0.6187  0.9444  3 O 1.47-1.62
O  0.7762  0.0320  0.3015  2 P 1.58-1.62
O  0.8111  0.5319  0.0572  1 P 1.47
Mn  0.8409  0.6347  0.4525  5 O 1.93-2.07
O  0.0375  0.5613  0.3663  1 P 1.53
O  0.3200  0.5508  0.5925  1 P 1.51
O  0.3590  0.3092  0.4525  1 P 1.51
Mn  0.1593  0.3655  0.5474  5 O 1.93-2.07
O  0.6151  0.3523  0.6334  2 P 1.61-1.62
O  0.2238  0.9679  0.6985  2 P 1.58-1.62
O  0.3852  0.6478  0.3665  2 P 1.61-1.62
P  0.1861  0.8814  0.5556  3 O 1.47-1.62
........
Your gut knows more than all the experts in the world, because it has access to a resource that the experts don’t:
Your subconscious.
Your Big Beautiful Subconscious Brain
David Eagleman is a neuroscientist at Baylor College of Medicine, and his goal is to demystify the brain for us.
He wants us to understand that the brain is a lot weirder than we ever imagined.
In his book Incognito, he explains that your brain is like an iceberg. You’re only conscious of a fraction of what it does.
For example, during conversations, your brain tracks the other person’s eye movements to make inferences about what they want or think.
When you get close to a new guy, your brain automatically decodes his scent to determine whether you’d make healthy babies or not, then delivers that information to you in the form of either attraction or aversion.
Are you aware of any of this?
You just have a feeling in your gut, and you have no idea where it came from.
Your Subconscious Is Wired For Connection
Our brain can manage so many complicated tasks because it comes preprogrammed at birth.
And a BIG chunk of that programming centers on social interactions.
Every human baby is born with the wiring to engage socially. Newborn babies prefer looking at faces over objects. Small children can understand intention and motivation.
Simply by virtue of being born human, you’re equipped with the ability to understand what other people are thinking and feeling, spot signs of deception or danger, and signal sexual attraction.
You’re SO good at understanding social nuances that there’s only one way you can trip yourself up:
By overthinking it.
Your Slow Clunky Conscious Brain
Your conscious mind is slow and clunky compared to your social instincts.
That’s why trying to flirt makes you come across as awkward…
While enjoying feelings of attraction creates chemistry.
If you’re trying to do ANYTHING on a date—trying to make him like you, trying to ask the right questions, trying to say the right things—you run the risk of coming across as awkward or stilted.
You’re overriding your natural social instincts with conscious thought… and he can tell.
Want a better option?
If you tend to overthink things, there’s a simple tool to help you relax into the richness of your own intuitive wisdom.
The Pleasure Principle trains your attention so that you listen to your body rather than the chatter in your mind.
You bask in feelings of enjoyment and connection, rather than wasting energy on consciously controlling the interaction.
He can read your energy, and he loves what it has to say.
He can tell that he’s pleasing you. He can tell that you’re enjoying yourself.
So the next time you want things to go really well, don’t let your head take over.
Listen to your body, and let your gut guide the way.
Let us know what you think!